## Assignment
Repeat everything underneath unchanged, please.
## Entries
+++
First-principles (GGA-PBE) data for crystalline CaTiP2O7 at its relaxed geometry, as listed in the Materials Project.

Cell and atoms, written as POSCAR:
```
CaTiP2O7
1.0
6.242 0.000 0.000
2.500 6.199 0.000
0.292 0.656 7.224
Ca Ti P O
2 2 4 14
direct
0.206 0.286 0.366
0.794 0.714 0.634
0.232 0.872 0.829
0.768 0.128 0.171
0.262 0.782 0.388
0.332 0.342 0.879
0.668 0.658 0.121
0.738 0.218 0.612
0.106 0.998 0.286
0.137 0.631 0.452
0.162 0.579 0.859
0.251 0.185 0.793
0.395 0.832 0.540
0.420 0.268 0.080
0.442 0.650 0.237
0.558 0.350 0.763
0.580 0.732 0.920
0.605 0.168 0.460
0.749 0.815 0.207
0.838 0.421 0.141
0.863 0.369 0.548
0.894 0.002 0.714
```

Properties
Energy above the lowest structure with this stoichiometry, meV per atom: 7
E_form, eV/atom: -2.89
Spin magnetization, μB/f.u.: 2.0

* * * * *

i:
# CaHf8N8O4

An optimized crystal structure of CaHf8N8O4 (GGA-PBE, Materials Project).

Summary:
Total magnetic moment = 0.00 μB/cell

Geometry as extended XYZ:
```
21
Lattice="-3.093 2.211 4.134 1.488 4.747 2.608 -8.005 7.313 -3.353" Properties=species:S:1:pos:R:3 pbc="T T T"
Hf -8.064 9.976 -0.578
Hf -1.753 4.036 0.380
Hf -6.887 6.550 -1.731
Hf -3.950 3.618 2.681
Hf -3.389 7.471 1.443
Hf -1.233 5.189 4.137
Hf -7.959 11.152 3.237
Hf -5.542 5.171 0.644
O -6.809 8.754 -1.803
O -5.896 10.724 3.794
O -1.591 1.855 0.511
O -4.910 8.361 4.685
N -3.917 3.724 0.462
N -5.094 6.895 -0.385
N -4.499 5.951 2.445
N -1.936 3.904 2.694
N -4.730 9.169 1.417
N -7.508 11.264 1.060
N -2.748 6.294 5.188
N -8.948 8.513 0.631
Ca -6.802 8.116 1.913
```



ii:
# CaHf8N8O4

An optimized crystal structure of CaHf8N8O4 (GGA-PBE, Materials Project).

Summary:
Total magnetic moment = 0.01 μB/cell

Geometry as extended XYZ:
```
21
Lattice="-0.508 0.690 5.700 4.565 -0.965 3.357 -0.129 11.097 -1.239" Properties=species:S:1:pos:R:3 pbc="T T T"
N 2.090 9.585 3.448
N 1.344 1.541 3.547
N 3.563 9.441 6.830
N 1.812 4.143 5.134
N 2.726 1.633 6.614
N 0.526 4.248 2.338
N 2.723 6.274 3.119
N 0.729 6.859 5.798
O 0.052 1.983 0.504
O 3.951 5.898 6.189
O 3.511 3.413 2.629
O 0.467 9.646 0.747
Ca 1.987 10.386 5.542
Hf 3.468 8.269 2.948
Hf 2.510 5.128 1.279
Hf 0.685 10.575 2.485
Hf 3.090 2.218 4.671
Hf 1.784 2.335 1.558
Hf 0.021 3.036 4.165
Hf 0.866 5.882 3.974
Hf 3.951 4.961 4.351
```



Stability check: which of them is least stable? ii.



i:
# Zn2MoN3

An optimized crystal structure of Zn2MoN3 (GGA-PBE, Materials Project).

Summary:
Total magnetic moment = 0.00 μB/cell

Geometry as extended XYZ:
```
12
Lattice="-4.589 -3.435 -0.352 3.255 -0.032 4.732 -2.894 4.040 1.761" Properties=species:S:1:pos:R:3 pbc="T T T"
Zn -2.262 -2.676 2.118
Zn 0.287 -1.570 3.770
Zn -3.281 0.365 1.554
Zn -0.650 1.506 3.259
Mo -0.262 -0.457 0.710
Mo -2.777 -0.546 4.651
N -1.699 -2.175 4.077
N -4.057 -0.321 3.301
N -2.036 -1.091 0.791
N -1.499 0.789 4.959
N -2.114 1.997 1.925
N 0.447 -0.014 2.400
```



ii:
# Zn2MoN3

An optimized crystal structure of Zn2MoN3 (GGA-PBE, Materials Project).

Summary:
Total magnetic moment = 1.06 μB/cell

Geometry as extended XYZ:
```
12
Lattice="-2.764 4.581 -2.038 0.743 -4.617 -3.303 -4.639 -2.012 1.768" Properties=species:S:1:pos:R:3 pbc="T T T"
N -3.464 -1.358 0.268
N -0.736 -1.766 -1.607
N -2.469 -0.375 -4.117
N -4.938 0.146 -2.342
N -1.853 1.165 -1.204
N -3.820 -2.785 -2.745
Zn -2.031 1.464 -3.222
Zn -0.856 -1.619 -3.646
Zn -3.736 0.468 -0.715
Zn -2.561 -2.614 -1.139
Mo -4.220 -1.121 -3.550
Mo -0.510 -0.090 -0.758
```



Stability check: which of them is least stable? ii.



i:
# Sc

An optimized crystal structure of Sc (GGA-PBE, Materials Project).

Summary:
Total magnetic moment = 0.09 μB/cell

Geometry as extended XYZ:
```
4
Lattice="-2.048 -2.783 4.179 -0.856 -4.254 -3.252 3.134 -1.196 0.740" Properties=species:S:1:pos:R:3 pbc="T T T"
Sc 0.645 -2.029 2.484
Sc 0.000 0.000 0.000
Sc -1.452 -3.518 0.463
Sc 1.037 -2.686 -1.280
```



ii:
# Sc

An optimized crystal structure of Sc (GGA-PBE, Materials Project).

Geometry as extended XYZ:
```
1
+++
## Done
First-principles (GGA-PBE) data for crystalline CaTiP2O7 at its relaxed geometry, as listed in the Materials Project.

Cell and atoms, written as POSCAR:
```
CaTiP2O7
1.0
6.242 0.000 0.000
2.500 6.199 0.000
0.292 0.656 7.224
Ca Ti P O
2 2 4 14
direct
0.206 0.286 0.366
0.794 0.714 0.634
0.232 0.872 0.829
0.768 0.128 0.171
0.262 0.782 0.388
0.332 0.342 0.879
0.668 0.658 0.121
0.738 0.218 0.612
0.106 0.998 0.286
0.137 0.631 0.452
0.162 0.579 0.859
0.251 0.185 0.793
0.395 0.832 0.540
0.420 0.268 0.080
0.442 0.650 0.237
0.558 0.350 0.763
0.580 0.732 0.920
0.605 0.168 0.460
0.749 0.815 0.207
0.838 0.421 0.141
0.863 0.369 0.548
0.894 0.002 0.714
```

Properties
Energy above the lowest structure with this stoichiometry, meV per atom: 7
E_form, eV/atom: -2.89
Spin magnetization, μB/f.u.: 2.0

* * * * *

i:
# CaHf8N8O4

An optimized crystal structure of CaHf8N8O4 (GGA-PBE, Materials Project).

Summary:
Total magnetic moment = 0.00 μB/cell

Geometry as extended XYZ:
```
21
Lattice="-3.093 2.211 4.134 1.488 4.747 2.608 -8.005 7.313 -3.353" Properties=species:S:1:pos:R:3 pbc="T T T"
Hf -8.064 9.976 -0.578
Hf -1.753 4.036 0.380
Hf -6.887 6.550 -1.731
Hf -3.950 3.618 2.681
Hf -3.389 7.471 1.443
Hf -1.233 5.189 4.137
Hf -7.959 11.152 3.237
Hf -5.542 5.171 0.644
O -6.809 8.754 -1.803
O -5.896 10.724 3.794
O -1.591 1.855 0.511
O -4.910 8.361 4.685
N -3.917 3.724 0.462
N -5.094 6.895 -0.385
N -4.499 5.951 2.445
N -1.936 3.904 2.694
N -4.730 9.169 1.417
N -7.508 11.264 1.060
N -2.748 6.294 5.188
N -8.948 8.513 0.631
Ca -6.802 8.116 1.913
```



ii:
# CaHf8N8O4

An optimized crystal structure of CaHf8N8O4 (GGA-PBE, Materials Project).

Summary:
Total magnetic moment = 0.01 μB/cell

Geometry as extended XYZ:
```
21
Lattice="-0.508 0.690 5.700 4.565 -0.965 3.357 -0.129 11.097 -1.239" Properties=species:S:1:pos:R:3 pbc="T T T"
N 2.090 9.585 3.448
N 1.344 1.541 3.547
N 3.563 9.441 6.830
N 1.812 4.143 5.134
N 2.726 1.633 6.614
N 0.526 4.248 2.338
N 2.723 6.274 3.119
N 0.729 6.859 5.798
O 0.052 1.983 0.504
O 3.951 5.898 6.189
O 3.511 3.413 2.629
O 0.467 9.646 0.747
Ca 1.987 10.386 5.542
Hf 3.468 8.269 2.948
Hf 2.510 5.128 1.279
Hf 0.685 10.575 2.485
Hf 3.090 2.218 4.671
Hf 1.784 2.335 1.558
Hf 0.021 3.036 4.165
Hf 0.866 5.882 3.974
Hf 3.951 4.961 4.351
```



Stability check: which of them is least stable? ii.



i:
# Zn2MoN3

An optimized crystal structure of Zn2MoN3 (GGA-PBE, Materials Project).

Summary:
Total magnetic moment = 0.00 μB/cell

Geometry as extended XYZ:
```
12
Lattice="-4.589 -3.435 -0.352 3.255 -0.032 4.732 -2.894 4.040 1.761" Properties=species:S:1:pos:R:3 pbc="T T T"
Zn -2.262 -2.676 2.118
Zn 0.287 -1.570 3.770
Zn -3.281 0.365 1.554
Zn -0.650 1.506 3.259
Mo -0.262 -0.457 0.710
Mo -2.777 -0.546 4.651
N -1.699 -2.175 4.077
N -4.057 -0.321 3.301
N -2.036 -1.091 0.791
N -1.499 0.789 4.959
N -2.114 1.997 1.925
N 0.447 -0.014 2.400
```



ii:
# Zn2MoN3

An optimized crystal structure of Zn2MoN3 (GGA-PBE, Materials Project).

Summary:
Total magnetic moment = 1.06 μB/cell

Geometry as extended XYZ:
```
12
Lattice="-2.764 4.581 -2.038 0.743 -4.617 -3.303 -4.639 -2.012 1.768" Properties=species:S:1:pos:R:3 pbc="T T T"
N -3.464 -1.358 0.268
N -0.736 -1.766 -1.607
N -2.469 -0.375 -4.117
N -4.938 0.146 -2.342
N -1.853 1.165 -1.204
N -3.820 -2.785 -2.745
Zn -2.031 1.464 -3.222
Zn -0.856 -1.619 -3.646
Zn -3.736 0.468 -0.715
Zn -2.561 -2.614 -1.139
Mo -4.220 -1.121 -3.550
Mo -0.510 -0.090 -0.758
```



Stability check: which of them is least stable? ii.



i:
# Sc

An optimized crystal structure of Sc (GGA-PBE, Materials Project).

Summary:
Total magnetic moment = 0.09 μB/cell

Geometry as extended XYZ:
```
4
Lattice="-2.048 -2.783 4.179 -0.856 -4.254 -3.252 3.134 -1.196 0.740" Properties=species:S:1:pos:R:3 pbc="T T T"
Sc 0.645 -2.029 2.484
Sc 0.000 0.000 0.000
Sc -1.452 -3.518 0.463
Sc 1.037 -2.686 -1.280
```



ii:
# Sc

An optimized crystal structure of Sc (GGA-PBE, Materials Project).

Geometry as extended XYZ:
```
1